_Wanted_
The reader should print everything further down unchanged.

_Excerpt_
-- begin --
This record from OMol25 describes a molecular structure, C15H32N7O6PTl at a distorted geometry. The level of theory is the ωB97M-V functional and the def2-TZVPD basis.

Values from the calculation:
- E_HOMO: -9.41 eV
- Total energy: -52756.226 eV
- Net charge: +1
- Kohn-Sham gap: 4.42 eV

Each line ends with the Löwdin charge.
Element x y z (Å)
O: 3.615 -3.914 -2.364  -0.129
H: 4.433 -4.084 -2.857  0.080
Tl: 0.959 -0.384 0.144  0.925
N: 0.423 -0.990 2.214  -0.278
N: 0.403 -2.488 0.144  -0.265
N: 1.913 1.623 0.538  -0.069
N: 2.227 0.199 -1.519  -0.051
O: 0.579 -0.095 3.130  -0.212
O: 1.461 2.354 1.644  -0.009
O: 2.307 -0.630 -2.651  0.007
O: 0.559 -3.078 -0.968  -0.166
C: -0.267 -3.014 1.232  -0.262
C: -0.260 -2.173 2.382  -0.259
C: 2.245 2.335 -0.560  -0.243
C: 2.393 1.526 -1.735  -0.224
C: -1.029 -2.370 3.627  -0.015
H: -1.717 -1.521 3.776  0.090
H: -0.350 -2.419 4.490  0.101
H: -1.615 -3.292 3.593  0.075
C: -1.023 -4.266 1.023  -0.022
H: -0.343 -5.055 0.674  0.098
H: -1.793 -4.113 0.248  0.094
H: -1.517 -4.592 1.945  0.076
C: 2.310 3.806 -0.530  0.010
C: 2.561 2.043 -3.101  0.016
H: 2.494 4.166 0.490  0.102
H: 1.372 4.257 -0.893  0.106
H: 3.120 4.147 -1.185  0.106
H: 2.179 1.339 -3.847  0.100
H: 3.618 2.238 -3.315  0.120
H: 2.023 2.992 -3.212  0.102
H: 1.168 1.651 2.290  0.085
H: 1.797 -1.442 -2.430  0.105
C: 4.010 -3.307 -1.122  -0.155
H: 3.203 -3.534 -0.415  0.069
H: 4.127 -2.216 -1.240  0.061
H: 4.960 -3.726 -0.731  0.090
O: 3.236 -0.651 1.633  -0.087
H: 3.533 0.283 1.648  0.054
H: 2.882 -0.790 2.542  0.068
C: -3.835 1.538 -1.543  -0.152
N: -3.767 0.270 -0.771  -0.150
C: -4.054 0.528 0.663  -0.144
N: -3.193 1.596 1.233  -0.149
C: -3.269 2.830 0.414  -0.150
N: -2.935 2.590 -1.012  -0.151
C: -1.515 2.290 -1.230  -0.274
P: -1.177 0.724 -0.313  0.998
C: -2.479 -0.402 -0.973  -0.269
C: -1.806 1.163 1.381  -0.275
H: -4.866 1.922 -1.482  0.138
H: -3.561 1.324 -2.587  0.133
H: -3.917 -0.402 1.238  0.137
H: -5.102 0.856 0.751  0.137
H: -2.577 3.577 0.834  0.135
H: -4.304 3.205 0.456  0.137
H: -1.289 2.162 -2.304  0.107
H: -0.864 3.105 -0.866  0.094
H: -2.453 -1.381 -0.469  0.103
H: -2.305 -0.596 -2.045  0.113
H: -1.195 1.972 1.818  0.102
H: -1.734 0.313 2.075  0.085


This record from OMol25 describes a molecular structure, C15H32O5S. The level of theory is the ωB97M-V functional and the def2-TZVPD basis.

Values from the calculation:
- E_HOMO: -10.39 eV
- Total energy: -37145.812 eV
- Kohn-Sham gap: 11.10 eV

Each line ends with the Löwdin charge.
Element x y z (Å)
C: -0.940 -0.014 -4.219  -0.092
C: 0.586 -0.018 -4.333  -0.400
C: 1.105 -1.448 -4.124  -0.081
C: 1.310 1.069 -3.471  -0.109
C: 0.532 1.790 -2.345  -0.334
C: 0.711 3.312 -2.470  -0.070
C: 0.941 1.458 -0.900  -0.149
O: 0.826 0.085 -0.494  -0.055
C: 1.943 -0.731 -0.473  -0.366
C: 2.108 -1.423 0.892  -0.056
O: 3.525 -1.761 0.945  -0.182
S: 4.319 -1.076 -0.245  0.615
O: 4.421 -2.006 -1.330  -0.222
O: 5.455 -0.384 0.255  -0.206
O: 3.181 -0.006 -0.593  -0.151
H: -1.371 0.969 -4.441  0.080
H: -1.264 -0.300 -3.213  0.078
H: -1.368 -0.729 -4.928  0.080
H: 0.813 0.228 -5.379  0.124
H: 0.619 -1.925 -3.269  0.072
H: 0.864 -2.065 -4.997  0.078
H: 2.190 -1.482 -3.993  0.077
H: 1.643 1.842 -4.174  0.109
H: 2.233 0.652 -3.054  0.109
H: -0.536 1.584 -2.436  0.115
H: 0.087 3.707 -3.277  0.084
H: 0.434 3.835 -1.549  0.078
H: 1.754 3.561 -2.696  0.086
H: 1.946 1.824 -0.678  0.134
H: 0.252 1.988 -0.233  0.126
H: 1.897 -1.479 -1.262  0.143
H: 1.526 -2.339 0.978  0.144
H: 1.925 -0.736 1.720  0.124
C: -0.149 0.764 2.866  -0.106
C: -0.603 -0.539 3.514  -0.262
C: -1.743 -1.222 2.759  -0.224
C: -3.030 -0.402 2.661  -0.228
C: -3.621 0.025 4.005  -0.270
C: -4.015 -1.147 4.897  -0.112
H: -0.947 1.508 2.847  0.071
H: 0.690 1.205 3.409  0.079
H: 0.166 0.595 1.835  0.043
H: -0.894 -0.354 4.551  0.100
H: 0.243 -1.232 3.561  0.097
H: -1.956 -2.185 3.231  0.102
H: -1.405 -1.453 1.742  0.105
H: -3.776 -0.991 2.117  0.110
H: -2.851 0.489 2.053  0.101
H: -4.502 0.643 3.814  0.104
-- stop --

_Worked solution_
This record from OMol25 describes a molecular structure, C15H32N7O6PTl at a distorted geometry. The level of theory is the ωB97M-V functional and the def2-TZVPD basis.

Values from the calculation:
- E_HOMO: -9.41 eV
- Total energy: -52756.226 eV
- Net charge: +1
- Kohn-Sham gap: 4.42 eV

Each line ends with the Löwdin charge.
Element x y z (Å)
O: 3.615 -3.914 -2.364  -0.129
H: 4.433 -4.084 -2.857  0.080
Tl: 0.959 -0.384 0.144  0.925
N: 0.423 -0.990 2.214  -0.278
N: 0.403 -2.488 0.144  -0.265
N: 1.913 1.623 0.538  -0.069
N: 2.227 0.199 -1.519  -0.051
O: 0.579 -0.095 3.130  -0.212
O: 1.461 2.354 1.644  -0.009
O: 2.307 -0.630 -2.651  0.007
O: 0.559 -3.078 -0.968  -0.166
C: -0.267 -3.014 1.232  -0.262
C: -0.260 -2.173 2.382  -0.259
C: 2.245 2.335 -0.560  -0.243
C: 2.393 1.526 -1.735  -0.224
C: -1.029 -2.370 3.627  -0.015
H: -1.717 -1.521 3.776  0.090
H: -0.350 -2.419 4.490  0.101
H: -1.615 -3.292 3.593  0.075
C: -1.023 -4.266 1.023  -0.022
H: -0.343 -5.055 0.674  0.098
H: -1.793 -4.113 0.248  0.094
H: -1.517 -4.592 1.945  0.076
C: 2.310 3.806 -0.530  0.010
C: 2.561 2.043 -3.101  0.016
H: 2.494 4.166 0.490  0.102
H: 1.372 4.257 -0.893  0.106
H: 3.120 4.147 -1.185  0.106
H: 2.179 1.339 -3.847  0.100
H: 3.618 2.238 -3.315  0.120
H: 2.023 2.992 -3.212  0.102
H: 1.168 1.651 2.290  0.085
H: 1.797 -1.442 -2.430  0.105
C: 4.010 -3.307 -1.122  -0.155
H: 3.203 -3.534 -0.415  0.069
H: 4.127 -2.216 -1.240  0.061
H: 4.960 -3.726 -0.731  0.090
O: 3.236 -0.651 1.633  -0.087
H: 3.533 0.283 1.648  0.054
H: 2.882 -0.790 2.542  0.068
C: -3.835 1.538 -1.543  -0.152
N: -3.767 0.270 -0.771  -0.150
C: -4.054 0.528 0.663  -0.144
N: -3.193 1.596 1.233  -0.149
C: -3.269 2.830 0.414  -0.150
N: -2.935 2.590 -1.012  -0.151
C: -1.515 2.290 -1.230  -0.274
P: -1.177 0.724 -0.313  0.998
C: -2.479 -0.402 -0.973  -0.269
C: -1.806 1.163 1.381  -0.275
H: -4.866 1.922 -1.482  0.138
H: -3.561 1.324 -2.587  0.133
H: -3.917 -0.402 1.238  0.137
H: -5.102 0.856 0.751  0.137
H: -2.577 3.577 0.834  0.135
H: -4.304 3.205 0.456  0.137
H: -1.289 2.162 -2.304  0.107
H: -0.864 3.105 -0.866  0.094
H: -2.453 -1.381 -0.469  0.103
H: -2.305 -0.596 -2.045  0.113
H: -1.195 1.972 1.818  0.102
H: -1.734 0.313 2.075  0.085


This record from OMol25 describes a molecular structure, C15H32O5S. The level of theory is the ωB97M-V functional and the def2-TZVPD basis.

Values from the calculation:
- E_HOMO: -10.39 eV
- Total energy: -37145.812 eV
- Kohn-Sham gap: 11.10 eV

Each line ends with the Löwdin charge.
Element x y z (Å)
C: -0.940 -0.014 -4.219  -0.092
C: 0.586 -0.018 -4.333  -0.400
C: 1.105 -1.448 -4.124  -0.081
C: 1.310 1.069 -3.471  -0.109
C: 0.532 1.790 -2.345  -0.334
C: 0.711 3.312 -2.470  -0.070
C: 0.941 1.458 -0.900  -0.149
O: 0.826 0.085 -0.494  -0.055
C: 1.943 -0.731 -0.473  -0.366
C: 2.108 -1.423 0.892  -0.056
O: 3.525 -1.761 0.945  -0.182
S: 4.319 -1.076 -0.245  0.615
O: 4.421 -2.006 -1.330  -0.222
O: 5.455 -0.384 0.255  -0.206
O: 3.181 -0.006 -0.593  -0.151
H: -1.371 0.969 -4.441  0.080
H: -1.264 -0.300 -3.213  0.078
H: -1.368 -0.729 -4.928  0.080
H: 0.813 0.228 -5.379  0.124
H: 0.619 -1.925 -3.269  0.072
H: 0.864 -2.065 -4.997  0.078
H: 2.190 -1.482 -3.993  0.077
H: 1.643 1.842 -4.174  0.109
H: 2.233 0.652 -3.054  0.109
H: -0.536 1.584 -2.436  0.115
H: 0.087 3.707 -3.277  0.084
H: 0.434 3.835 -1.549  0.078
H: 1.754 3.561 -2.696  0.086
H: 1.946 1.824 -0.678  0.134
H: 0.252 1.988 -0.233  0.126
H: 1.897 -1.479 -1.262  0.143
H: 1.526 -2.339 0.978  0.144
H: 1.925 -0.736 1.720  0.124
C: -0.149 0.764 2.866  -0.106
C: -0.603 -0.539 3.514  -0.262
C: -1.743 -1.222 2.759  -0.224
C: -3.030 -0.402 2.661  -0.228
C: -3.621 0.025 4.005  -0.270
C: -4.015 -1.147 4.897  -0.112
H: -0.947 1.508 2.847  0.071
H: 0.690 1.205 3.409  0.079
H: 0.166 0.595 1.835  0.043
H: -0.894 -0.354 4.551  0.100
H: 0.243 -1.232 3.561  0.097
H: -1.956 -2.185 3.231  0.102
H: -1.405 -1.453 1.742  0.105
H: -3.776 -0.991 2.117  0.110
H: -2.851 0.489 2.053  0.101
H: -4.502 0.643 3.814  0.104